Time to lose the fluff?

As far as I understand it, your professional viewpoint is that a non-obese intermediate can get stronger but cannot gain muscle while maintaining or losing weight. Correct?

The reason I ask is I have just come off novice LP and started the bridge. I am a bit at a loss on where to head nutritionally and have just maintained the last 2 weeks because of this.

Height: 6ft
Weight: 207
Waist: 38-38.5
BF%: During the LP, at 197lb I was at 25% according to DEXA
1RM as tested last week: SQ 340 , DL 425 , BP 280 , PR 175

I thought that I would want to start weight loss as soon as I transition from the LP. But I find that I still feel “weak” and not where I should be at muscle wise before “wasting” training time dieting. I’m lifting for the purpose of strength, but it’s definitely nice to finally look like I’ve lifted a barbel in my life. Losing 20LB will probably take that away but on the other hand I won’t be so fluffy in the midsection.

What would your recommendation be for someone in this situation? Sacrifice progress to cut 20lb of midsection fluff, maintain weight and jus get stronger, or start adding 0.5-1lb a week again to pack on a solid base while the gains are “easy”.

Pretty much, yes. I would maintain weight at present and train a bunch more. That’s what I’d do.

Forgive my continued ignorance. But what would be the end goal then? If I’m maintaining weight, that means that I might be getting stronger, but I’m not actually packing on more muscle or losing fat. Which means I’ll continually stay in the same fluffy body even though I am stronger.

Or am I viewing the whole “can’t gain muscle without gaining weight” thing as too black and white?

The end goal is to become more trained. I’m not sure why we tested 1RM’s, but those give me the impression there is more training development to be had. You’ll likely see some muscle gain, waist decrease, and reduction in body fat- albeit less than if you pursued bulking or cutting singularly.

Got it. Basically I was looking at it too black and white. You can gain muscle while maintaining as you get more trained. It will just be slower than if you were to bulk. I have been trying to apply your protein meal timing advice while maintaining to maximize MPS firing.

My novice LP culminated to a grinding halt as everything stalled within 2 weeks. I think 2 weeks in a row fails on DL might have been part of why. Did 370x5 one week and the next week 375 I barely did 2 reps for 2 DL workouts in a row. They wiped me out. My SSC (I see Robert Santana 1x a month or so to upkeep form) said it was probably a sign of being time to switch to intermediate programming. Regardless, my lower back and legs were pretty achy so I decided to do a light week (~20% less intensity) before starting The Bridge. By the end of the week I felt alot better so I tested my 1rm’s. It was probably mostly for ego reasons, but I thought it might help see my starting point before intermediate.

Everything on the bridge this week felt great other than my low back stil beingl a little sensitive. Today was deadlifts (3rd day) and I tweaked my lower back pretty bad on the last set. I coudln’t finish the set. Hurts alot when putting my lower back in extension or stepping on my left foot. This was the first time I hurt my back since I started following SS and fixed my form. With a little determination, I was still able to finish Benching and 303 Squats though. Hopefully it will go away by Tuesday. I’m hoping that the 4 added sets of DL/Rack Pulls next week won’t completely trash it.


Thank you for the advice.

I had one more question,

# Attached: crystal structures
/*
# 1
# SrGa2Si2 (GGA-PBE, relaxed)
data_SrGa2Si2
_chemical_formula_sum 'Sr2 Ga4 Si4'
_cell_length_a 7.811
_cell_length_b 7.811
_cell_length_c 3.376
_cell_angle_alpha 90.00
_cell_angle_beta 90.00
_cell_angle_gamma 90.00
_space_group_name_H-M_alt 'P 4/m b m'
_space_group_IT_number 127
_space_group_name_Hall '-P 4 2ab'
loop_
_atom_site_label
_atom_site_type_symbol
_atom_site_fract_x
_atom_site_fract_y
_atom_site_fract_z
_atom_site_occupancy
Sr1 Sr 0.000 0.000 0.000 1
Ga1 Ga 0.124 0.376 0.000 1
Si1 Si 0.157 0.657 0.500 1
# - Total energy: -3.68 eV per atom
# - Crystal system: tetragonal
# - Raw formation energy: 3.3 kJ per mole of atoms
# - Density of states at the Fermi level: 0.36 states/eV/atom
# - Theoretical density: 4567 kg/m3
# - Magnetic moment: 0.000 μB per cell
# - Volume: 206 Å³/cell


# 2
# Sr3Ga2Si3 (GGA-PBE, relaxed)
data_Sr3Ga2Si3
_chemical_formula_sum 'Sr12 Ga8 Si12'
_cell_length_a 4.297
_cell_length_b 11.790
_cell_length_c 15.997
_cell_angle_alpha 90.00
_cell_angle_beta 90.00
_cell_angle_gamma 90.00
_space_group_name_H-M_alt 'C m c m'
_space_group_IT_number 63
_space_group_name_Hall '-C 2c 2'
loop_
_atom_site_label
_atom_site_type_symbol
_atom_site_fract_x
_atom_site_fract_y
_atom_site_fract_z
_atom_site_occupancy
Sr1 Sr 0.000 0.031 0.250 1
Sr2 Sr 0.000 0.341 0.094 1
Ga1 Ga 0.000 0.370 0.618 1
Si1 Si 0.000 0.070 0.052 1
Si2 Si 0.000 0.251 0.750 1
# - Total energy: -3.81 eV per atom
# - Crystal system: orthorhombic
# - Raw formation energy: -37.5 kJ per mole of atoms
# - Density of states at the Fermi level: 0.43 states/eV/atom
# - Theoretical density: 3987 kg/m3
# - Magnetic moment: 0.000 μB per cell
# - Volume: 811 Å³/cell


# 3
# Sr2GaSi3 (GGA-PBE, relaxed)
data_Sr2GaSi3
_chemical_formula_sum 'Sr16 Ga8 Si24'
_cell_length_a 8.367
_cell_length_b 9.380
_cell_length_c 14.340
_cell_angle_alpha 90.00
_cell_angle_beta 90.00
_cell_angle_gamma 90.00
_space_group_name_H-M_alt 'F m m m'
_space_group_IT_number 69
_space_group_name_Hall '-F 2 2'
loop_
_atom_site_label
_atom_site_type_symbol
_atom_site_fract_x
_atom_site_fract_y
_atom_site_fract_z
_atom_site_occupancy
Sr1 Sr 0.000 0.247 0.000 1
Sr2 Sr 0.250 0.250 0.250 1
Ga1 Ga 0.000 0.000 0.334 1
Si1 Si 0.000 0.000 0.164 1
Si2 Si 0.247 0.000 0.083 1
# - Total energy: -4.17 eV per atom
# - E above lowest polymorph: 5 meV per atom
# - Crystal system: orthorhombic
# - Raw formation energy: -37.7 kJ per mole of atoms
# - Density of states at the Fermi level: 0.46 states/eV/atom
# - Theoretical density: 3886 kg/m3
# - Magnetic moment: 0.000 μB per cell
# - Volume: 1125 Å³/cell


# 4
# Sr3Ga3Si (GGA-PBE, relaxed)
data_Sr3Ga3Si
_chemical_formula_sum 'Sr12 Ga12 Si4'
_cell_length_a 12.139
_cell_length_b 4.388
_cell_length_c 15.431
_cell_angle_alpha 90.00
_cell_angle_beta 109.27
_cell_angle_gamma 90.00
_space_group_name_H-M_alt 'C 1 2/m 1'
_space_group_IT_number 12
loop_
_space_group_symop_operation_xyz
'x,y,z'
'-x,-y,-z'
'-x,y,-z'
'x,-y,z'
'x+1/2,y+1/2,z'
'-x+1/2,-y+1/2,-z'
'-x+1/2,y+1/2,-z'
*/

You are constantly getting stronger but It sounds like you have been in the 198 LB weight class for a long time, correct? So are you constantly cycling between small bulks and cuts throughout the year or do you primarily try to stay at about the same weight? (Give or take 5lb)

My improvements in strength are very slow, but yes I gain weight for periods of time, then maintain for awhile, then cut a little bit (less often).